I preached this sermon at two services at Emmanuel Episcopal Church, Woodstock, Virginia, on April 26, 2015. I hope it will bless you and expand your thinking on this familiar and much beloved passage of Scripture.
A most comforting image
Today is Good Shepherd Sunday, and there is probably no other scripture more comforting or more beloved than the 23rd Psalm we read today along with the Gospel reading from John 10:14:
“I am the good shepherd, and I know my own and my own know me.”
I’ll bet many of you remember, as I do, a picture hanging in our Sunday School room depicting Jesus, the Good Shepherd, carrying a lamb on his shoulders, and being taught its message: that we are loved by Jesus and we are carried by that love.
I daresay most of us can recite the 23rd Psalm from memory, and have probably done so over and over when the circumstances of our lives seemed to overwhelm us—those times when we felt we were, indeed, walking through the valley of the shadow of death. When we recall those words, we know we are not alone.
The gift of being known by God
I’ve been reflecting on the power and gift of being known by God. There’s a wonderful Zulu term “Sawubona” – it means literally, “I see you,” but it goes beyond physical sight to mean “I acknowledge you.” This notion has never been more important than it is in today’s culture, where we’re so often just a number, and our hustle and bustle keeps us from taking the time to truly acknowledge those with whom we interact on a daily basis: our family, our friends, the person at the cash register, our waitress. Instead of letting them pass us by unacknowledged, how much better if we could remember the wonderful words by Rosemary Crow from her song Weave: “Now the Christ in me greets the Christ in Thee.” When we acknowledge another sheep in the fold, we are truly one in Christ!
But John’s Gospel message is about so much more than just being personally known by God. It means that with all our flaws and shortcomings, all our eccentricities, all our sins of commission and omission, we are loved and we are forgiven.
What incredibly Good News!
But how well do we know God?
But the sentence from John’s gospel doesn’t stop with the declaration, “I know my own.” It goes on to say, “And my own know me.” For me, this brought up a whole new set of questions that began to be a bit unsettling:
- How well do I know really know God?
- How can I get to know God more intimately?
- Does God still speak to us?
- Will I recognize the voice of my shepherd when he calls me to pull me safely into the fold or to be his conduit for love in the world?
- How do I distinguish my shepherd’s voice from the other voices that bombard me constantly?
We believe in a living God, with whom we may have a relationship. How else can we get to know God better if not by cultivating that relationship?
There must be connection.
There must be communication.
There must be conversation.
Attached: molecular data:
/*
Below is a single C24H28FN3O3 molecule, with properties calculated with wB97M-V/def2-TZVPD.

Properties
ΔE to the lowest compared entry with this formula, charge and spin   0.652 eV
Spin multiplicity   1
SMILES   CC[C@H]1CN(C(=O)N2CCC(C(=O)NCc3ccc(F)cc3)CC2)c2ccccc2O1

Each line ends with the Mulliken charge.
Atoms and positions in Å:
C1 -0.22 -3.35 0.15  -1.41
C2 0.34 -2.08 -0.47  0.38
C3 1.64 -2.34 -1.24  0.07
C4 2.09 -1.12 -2.03  -1.30
N1 2.37 -0.05 -1.09  0.50
C5 1.80 1.18 -1.33  0.54
O1 1.38 1.46 -2.43  -0.71
N2 1.76 2.07 -0.27  0.26
C6 1.30 1.64 1.04  -1.10
C7 -0.23 1.56 1.07  -0.34
C8 -0.85 2.90 0.68  0.27
C9 -2.37 2.73 0.68  -0.02
O2 -3.08 3.15 1.56  -0.68
N3 -2.85 2.01 -0.36  -0.09
C10 -4.20 1.51 -0.41  -1.41
C11 -4.20 0.02 -0.17  0.42
C12 -4.52 -0.88 -1.18  -0.53
C13 -4.45 -2.24 -0.96  -0.61
C14 -4.06 -2.69 0.29  0.45
F1 -3.98 -4.02 0.51  -0.39
C15 -3.73 -1.82 1.31  -0.51
C16 -3.81 -0.46 1.07  -0.15
C17 -0.28 3.41 -0.64  -0.48
C18 1.25 3.39 -0.59  -1.37
C19 3.30 -0.42 -0.11  0.34
C20 4.16 0.50 0.50  -0.04
C21 5.09 0.08 1.42  -0.84
C22 5.20 -1.26 1.75  -0.53
C23 4.37 -2.18 1.14  -0.58
C24 3.42 -1.78 0.21  -0.09
O3 2.67 -2.76 -0.37  -0.48
H1 -1.09 -3.13 0.75  0.26
H2 -0.50 -4.06 -0.63  0.37
H3 0.54 -3.82 0.78  0.31
H4 -0.39 -1.64 -1.15  0.37
H5 0.55 -1.35 0.33  -0.25
H6 1.48 -3.19 -1.92  0.46
H7 3.00 -1.36 -2.60  0.30
H8 1.33 -0.78 -2.73  0.52
H9 1.65 2.38 1.77  0.44
H10 1.74 0.67 1.30  0.45
H11 -0.56 1.27 2.07  0.64
H12 -0.55 0.78 0.37  -0.11
H13 -0.62 3.63 1.47  0.39
H14 -2.20 1.63 -1.04  0.27
H15 -4.75 2.03 0.38  0.46
H16 -4.65 1.74 -1.38  0.42
H17 -4.82 -0.51 -2.15  0.35
H18 -4.70 -2.95 -1.73  0.45
H19 -3.43 -2.21 2.27  0.46
H20 -3.56 0.24 1.86  0.48
H21 -0.58 2.77 -1.48  0.23
H22 -0.63 4.42 -0.84  0.41
H23 1.62 4.08 0.17  0.46
H24 1.65 3.68 -1.56  0.57
H25 4.08 1.54 0.22  0.46
H26 5.74 0.81 1.88  0.41
H27 5.93 -1.59 2.47  0.38
H28 4.44 -3.23 1.37  0.45

Below is a single C24H28N2O5 molecule, with properties calculated with wB97M-V/def2-TZVPD.

Properties
ΔE to the lowest compared entry with this formula, charge and spin   3.109 eV
Spin multiplicity   1
SMILES   COCCCN1C(=O)C(=O)/C(=C(/O)c2ccc(OCC(C)C)cc2)[C@@H]1c1cccnc1

Each line ends with the Mulliken charge.
Atoms and positions in Å:
C1 1.84 -7.08 -0.47  -0.79
O1 1.44 -5.85 0.09  -0.34
C2 2.42 -4.84 0.02  -0.57
C3 2.66 -4.32 -1.40  -0.33
C4 3.22 -2.90 -1.40  -1.26
N1 2.34 -1.92 -0.82  0.33
C5 2.59 -1.32 0.37  0.29
O2 3.51 -1.59 1.11  -0.66
C6 1.53 -0.24 0.56  0.94
O3 1.45 0.49 1.53  -0.66
C7 0.72 -0.27 -0.65  -0.81
C8 -0.22 0.62 -1.05  1.33
O4 -0.71 0.49 -2.31  -0.54
C9 -0.73 1.73 -0.25  -0.28
C10 -1.11 1.56 1.08  -0.61
C11 -1.60 2.62 1.81  -0.65
C12 -1.70 3.89 1.23  0.84
O5 -2.17 4.87 2.04  -0.33
C13 -2.25 6.19 1.56  -1.02
C14 -2.72 7.09 2.71  0.71
C15 -1.66 7.12 3.81  -1.42
C16 -3.01 8.49 2.19  -1.58
C17 -1.33 4.07 -0.10  -0.57
C18 -0.86 2.99 -0.83  -0.65
C19 1.17 -1.42 -1.51  -1.08
C20 0.07 -2.46 -1.59  0.11
C21 -0.47 -3.02 -0.44  -0.06
C22 -1.45 -3.98 -0.55  -0.71
*/
And that implies something that’s two-way. Most of us are pretty good at speaking to God (or perhaps at God). But I daresay we can all work on our God-listening skills.
Learning to know God’s voice
Have you ever been in a crowd of people, perhaps a busy store or shopping center, when you heard the voice of your child—or perhaps the voice of your spouse or a friend—call your name? You pick it out of other noises immediately, because you know that voice.
I used to think all birds sounded alike, but after learning to identify a few birdcalls and songs, it gives me a thrill to be out for a walk and hear a familiar sound I know to be a cardinal or a Carolina wren, even without seeing it.
How wonderful to be as confident about recognizing the voice of Jesus, my shepherd, when he calls my name.
Well, I do believe God still speaks to us and that we can cultivate the ability to recognize His voice in the midst of all the other noise. Christian writings, scripture, and personal anecdotes from devout Christians are clear that God has spoken to us throughout history and still speaks.
In scripture, we find:
From Job: For God speaks in one way, and in two, though man does not perceive it. (Job 33:14)
From Isaiah: And your ears shall hear a word behind you, saying, “This is the way, walk in it,” when you turn to the right or when you turn to the left. (Isaiah 30:21)
From Jeremiah: Call to me and I will answer you, and will tell you great and hidden things that you have not known. (Jeremiah 33:3)
From John: When the Spirit of truth comes, he will guide you into all the truth…and he will declare to you the things that are to come. (John 16:13)
[Records of molecules that have nothing to do with the text]
┌──
a.
{
  "formula": "C38H28BBrF6N8O5SbTi",
  "method": "ωB97M-V with the def2-TZVPD basis set",
  "spin_multiplicity": 1,
  "charge": -1,
  "symbols": ["O", "H", "C", "F", "H", "C", "Br", "Ti", "N", "O", "F", "C", "H", "C", "C", "H", "F", "F", "C", "C", "C", "C", "N", "H", "C", "C", "H", "H", "H", "C", "C", "C", "C", "O", "C", "H", "C", "H", "C", "H", "C", "H", "H", "H", "C", "C", "H", "O", "N", "C", "C", "C", "C", "C", "N", "H", "H", "H", "H", "H", "H", "H", "Sb", "C", "N", "F", "O", "C", "C", "H", "C", "C", "H", "C", "H", "C", "H", "C", "N", "H", "C", "H", "B", "F", "N", "C", "N", "C", "C"],
  "positions_angstrom": [[2.937, 6.502, 4.757], [3.478, -0.971, 5.217], [-1.799, -0.597, 1.641], [3.287, 5.315, -3.463], [2.773, -3.397, 0.753], [-0.440, -3.146, -1.989], [-5.688, -4.280, 0.276], [1.142, 0.279, 0.652], [3.830, 5.995, 4.099], [0.046, 0.643, -0.720], [0.893, 4.077, -3.284], [-1.952, -2.514, -3.727], [-0.133, 3.227, 3.108], [-4.928, -1.883, -1.059], [0.627, 2.686, 2.528], [5.499, 4.692, 2.479], [1.892, 5.352, -1.145], [3.123, 2.621, -3.461], [-2.213, 1.204, -3.492], [-4.506, 0.123, 2.132], [-2.533, -0.076, -3.854], [-2.308, -2.835, 2.518], [-3.561, -0.211, -4.846], [-4.313, -0.082, -2.022], [2.203, -0.471, 3.469], [-4.055, -1.114, 2.490], [-4.719, -1.827, 2.965], [0.911, -2.646, 1.598], [-1.323, -4.527, -3.404], [3.253, -1.057, 4.169], [-0.424, -0.984, 1.465], [2.947, 2.554, 1.749], [-1.323, 1.457, -2.435], [4.962, 6.441, 4.033], [3.943, -1.773, 3.206], [-1.691, 1.359, 0.720], [4.519, 4.240, 2.487], [-2.577, -2.745, -4.580], [-1.839, -1.177, -3.280], [-3.030, -3.526, 2.941], [-5.350, -3.191, -1.240], [-5.436, -3.298, -4.611], [-5.894, -4.734, -2.626], [-1.073, 2.468, -2.141], [-5.543, -3.719, -2.505], [-1.259, -3.496, -3.085], [-0.711, -4.240, 2.441], [2.706, 1.512, 1.067], [2.456, -0.645, -0.700], [-2.720, -1.513, 2.225], [-0.749, 0.409, -1.763], [-5.284, -2.921, -3.607], [-4.801, -1.630, -3.444], [-4.658, -1.097, -2.167], [3.338, -1.605, 2.025], [1.414, 0.173, 3.821], [1.480, 4.807, 3.910], [-5.530, 0.415, 2.333], [0.110, -3.915, -1.453], [3.832, -0.865, -3.660], [4.707, -2.867, 0.783], [-4.791, -1.483, -0.064], [2.528, 4.016, -2.325], [3.510, 4.826, 3.288], [-4.560, -0.915, -4.668], [1.756, 2.706, -1.178], [0.239, 1.685, 1.897], [-3.632, 1.007, 1.464], [2.539, -0.248, -1.980], [-3.994, 1.972, 1.131], [1.944, 3.187, 2.546], [4.015, -1.831, -1.671], [1.942, 0.572, -2.338], [3.512, -0.978, -2.640], [4.794, -2.574, -1.717], [-0.097, -2.287, 1.752], [4.814, -2.401, 3.276], [-0.957, -0.934, -2.204], [3.381, -1.613, -0.518], [-2.695, 2.027, -4.005], [2.243, 4.329, 3.311], [4.990, 2.696, 1.088], [3.565, -2.479, 0.759], [4.132, 3.898, -1.324], [-0.279, -1.922, -1.571], [-2.331, 0.660, 1.232], [2.268, -0.810, 2.181], [4.249, 3.141, 1.736], [-1.032, -3.223, 2.247]]
}

=====

b.
{
  "formula": "C38H28BBrF6N8O5SbTi",
  "method": "ωB97M-V with the def2-TZVPD basis set",
  "spin_multiplicity": 1,
  "charge": -1,
└──
So if God’s talking, why can’t we hear His voice?
I think we often have preconceived ideas about how God might speak to us, so we don’t recognize it when He speaks in ordinary or quiet ways. We’re waiting for God’s voice to come out of a burning bush when it’s much more likely to come from our next door neighbor…yes, even the one that gets on our nerves! We also forget to expect responses to our side of the conversation with God. Sometimes, we’re so busy talking, we forget to listen!
Once we realize there’s a two-way conversation going on, we can begin to enjoy the thrill of recognizing God’s voice as a comforter and guide in dealing with life’s challenges. We will never be alone again! I’d like to suggest a few ways God might be speaking to us.
Records of molecules that have nothing to do with the piece >
=====
C9H14O | ωB97M-V with the def2-TZVPD basis set

Computed properties:
**Expectation value of S²**: 0.767
**Frontier orbital gap (spin up / spin down)**: 10.10 / 6.91 eV
**Energy**: -11598.9005 eV
**HOMO (spin up / spin down)**: -14.14 / -14.52 eV

The geometry in ORCA input format:
```
! wB97M-V def2-TZVPD RIJCOSX def2/J DEFGRID3
* xyz 1 2
O -2.5857 -0.1430 1.6341
C 2.7252 0.6867 0.1586
C -0.4653 -1.3264 -2.8721
C 0.3084 -0.0512 -3.2621
C -0.6115 -1.0231 0.6383
C -1.3012 0.0546 1.3188
C 0.5969 1.4300 1.2410
C -0.6885 1.2565 1.6716
C 1.3311 0.3538 0.6198
C 0.7382 -0.8669 0.4088
H -2.8545 -0.9034 1.1027
H -1.1534 2.1079 2.1440
H 2.6721 1.2445 -0.7814
H 1.1833 -1.6872 -0.1432
H -0.7494 -1.3910 -1.8113
H 0.8646 -0.2191 -4.1841
H -1.2322 -1.8714 0.3900
H 3.3671 -0.1867 0.0807
H -1.4522 -1.2064 -3.3249
H 0.1529 -2.1851 -3.1084
H 1.0575 2.4080 1.2162
H 1.1050 0.0755 -2.5211
H 3.2088 1.3584 0.8632
H -0.1940 0.9141 -3.2755
*
```
=====
- God speaks through Scripture. The Bible gives a great deal of guidance on the things we encounter in life, so familiarity with its teaching can result in the right verse and message coming to mind just when we need it. Hannah Whitehall Smith, in her classic The Christian’s Secret Of A Happy Life, tells us clearly to look for messages from God in scripture before anywhere else.
- God speaks through our intuition. This is a combination of our thoughts and our gut feelings. It can be thoughts and feelings that come to us during prayer, or they can come out of the blue. It takes practice to discern which things are messages from God and which are just wishful thinking (or worse, messages from the Tempter).
- God speaks through others. Sometimes this is the hardest to recognize. We should be careful not to pre-judge who God might use to deliver a message we need to hear!
- God speaks through books, letters, movies, or music. I find this happens most often when I am intentionally praying about a situation or asking for an answer to a question. Uncannily (or so it seems at the time), I’ll get a letter, read an article, watch a video, or be sent some other resource that speaks very specifically to what I’ve asked God about.
- God speaks through circumstances in our lives. Sometimes the guidance from God comes in the form of a slamming door. At other times it comes in the form of an opportunity. We should be open to the possibility that either might be a message from God.
So as we depart from church today in the comfort of knowing we are a sheep of God’s own fold, a lamb of God’s own flock, a sinner of God’s own redeeming, we also leave knowing we are cherished, protected, and guided by the Great Shepherd. We leave knowing that we are FORGIVEN for our sins.
And what better way to express our own love and gratitude for this incredible knowledge than a renewed determination to uphold our side of the relationship by listening for His voice and responding with gratitude and obedience.
“I am the good shepherd, and I know my own and my own know me.”
Thanks be to God!
How does God speak most clearly to you? What practices or disciplines have helped you to be able to hear God’s voice more often and more clearly? I’d love to learn from you if you’ll share your thoughts in the comments below.
Karen, you are absolutely spot on with these wonderful observations. It is finding God in the commonplace beauty of our daily lives that we begin to truly cultivate a relationship and feel His presence more keenly.
I like Beth’s comment about insight. We must be open to this insight. Perhaps I see his voice in the 12:08 on the clock (I seem to see this a lot) – it’s my growing-up address number. I feel that either He, my Mom, or my Aunt Agnes (or maybe them all) are speaking to me, “We see you and we hear you and we are with you.” I see it in a newly blooming lilac on a cloudy day. I hear it in the laughter of my grandchildren. I see it in a kind gesture. I feel it with a warm spring breeze. I feel it in my heart with the tear on the face of a departing friend. I smell it from the fragrance of a flowering tree. The buzz of a bee, the whir of a hummingbird, the drone of a lawn mower (yes, I love that sound, it’s the sound of Spring!). He is all around us. Just listen, be aware.
I agree with all of the ways you mention. In addition, I’ve found that sometimes God will speak in sudden bursts of insight, almost out of the blue — not really intuition; just “aha!” moments. And I’m sure there are many other ways, too. I’ve felt for a long time that God speaks to us in whatever way we are prepared to receive the message. But you are so right that we do need to be listening.
Beth, I love this beautiful insight: that God speaks to us in whatever way we are prepared to receive the message. I think you’re absolutely right, and it is so comforting to know that He will find us with his message no matter how lost we might feel ourselves.